Questions About Acell

There have been many questions you guys have about Acell. I plan on calling sometime next week so please list any questions you have under this thread. It’s easier to remember them if they are all in place. Hopefully, they’re willing to speak with me and answer my questions.

Take Care,

» There have been many questions you guys have about Acell. I plan on
» calling sometime next week so please list any questions you have under this
» thread. It’s easier to remember them if they are all in place.
» Hopefully, they’re willing to speak with me and answer my questions.
» Take Care,
» Bill

  1. What denatures the ecm?
  2. Would the slightest denaturing put fibrous tissue were a hair follicle would be?

All the best, I think I speak for the majority when I sat we appreciate your effort.

  1. Have they seen Dr. Jones’ blog, what do they think of the results so far and is this typical?

  2. Any incidence of side effects, rejection from the immune system, complications of any kind ? Doesn’t have to be hair related, but in general.

thanks Willy

please ask them if they intend to release an acell gel, if so when, thanks

I think the only intelligent question is:
Do you have a confirm from some doctors using acell about a regrowth of hairs?

  1. When do they expect photos to be uploaded to their site?

  2. Would hyaluronic acid (HA) denature the acell ecm? I am wondering if keeping an acell covered wound moist with HA in addition or instead of saline would be a better option than just saline alone. (Willy, if unfamiliar with HA, do a simple google search and you’ll understand why I ask this question.)

  3. Will the acell gel be an injectable or just a topical.

Have they talked with Dr. Jones about or do they know what Dr. Jones’ plans are for future testing with Acell? When will he start a new experiment?

See if they’ll confirm if Acell has ever regrown functioning hair follicles on ANY part of the human body.

» See if they’ll confirm if Acell has ever regrown functioning hair follicles
» on ANY part of the human body.

Good question Ahab & I would bet my extensive collection of baseball caps that their answer is no.
Acell r just on a fishing expedition,that’s it.They don’t know anything.
They have been trying 2 regrow fingers 4 a year & STILL have had no luck…B.S…
U r a good guy Willy but Acell are not worth a moment of ur attention.


The only acceptable method for testing new protocols is a double blind study. Any data from anything less is suspect. If Acell thought this would work in this application, why aren’t they doing a real study?

Rational posters have been asking this question from day one, and we were called trolls. Now everyone is disappointed. Have any of you learned your lesson from this? Highly unlikely.

» » See if they’ll confirm if Acell has ever regrown functioning hair
» follicles
» » on ANY part of the human body.
» Good question Ahab & I would bet my extensive collection of baseball caps
» that their answer is no.
» Acell r just on a fishing expedition,that’s it.They don’t know anything.
» They have been trying 2 regrow fingers 4 a year & STILL have had no
» luck…B.S…
» U r a good guy Willy but Acell are not worth a moment of ur attention.

I believe we’ve heard secondhand–i.e., not directly from Acell–that Acell has regrown hair on on other parts of the body where it was applied to wounds.

But I would like to hear it straight from them.

» The only acceptable method for testing new protocols is a double blind
» study. Any data from anything less is suspect. If Acell thought this
» would work in this application, why aren’t they doing a real study?
» Rational posters have been asking this question from day one, and we were
» called trolls. Now everyone is disappointed. Have any of you learned your
» lesson from this? Highly unlikely.

It is a FDA approved application (not a drug that needs four phases), that has been approved for years with earlier versions, it doesn’t need clinical trials.

But say it did need a clinical trial that cost millions, maybe a few billion, have you ever heard of the word budget, have you ever heard of the word resource?

If you have heard of the word resource you would see what would be the point in putting all your resource into a clinical trial that is not needed, were when you do the trial you then run out of money for the manufactoring machinary?

» »
» » The only acceptable method for testing new protocols is a double blind
» » study. Any data from anything less is suspect. If Acell thought this
» » would work in this application, why aren’t they doing a real study?
» »
» » Rational posters have been asking this question from day one, and we
» were
» » called trolls. Now everyone is disappointed. Have any of you learned
» your
» » lesson from this? Highly unlikely.
» It is FDA approved application (not a drug that need four phases), that
» has been approved for years with earlier versions; doesn’t need clinical
» trials.
» But say it did need a clinical trial that cost millions, maybe a few
» billion, have you ever heard of the word budget, have you ever heard of the
» word resources?
» If you have heard of the word resource you would see what would be the
» point in putting all your resource into a clinical trial that is not
» needed, were when you do the trial you then run out of money for the
» manufactoring machinary?

Where did I say “FDA trial”? Where did I say it wasn’t approved? I said “double-blind study” to prove its EFFICACY for “this application”.

Clearly, english isn’t your first language. Since that’s the case, why would you post a reply like that? Your english compression is poor, and you’re going to ask me questions like, “have you ever heard of the word resources”? Don’t be an ass.

» » »
» » » The only acceptable method for testing new protocols is a double
» blind
» » » study. Any data from anything less is suspect. If Acell thought
» this
» » » would work in this application, why aren’t they doing a real study?
» » »
» » » Rational posters have been asking this question from day one, and we
» » were
» » » called trolls. Now everyone is disappointed. Have any of you
» learned
» » your
» » » lesson from this? Highly unlikely.
» »
» » It is FDA approved application (not a drug that need four phases), that
» » has been approved for years with earlier versions; doesn’t need
» clinical
» » trials.
» »
» » But say it did need a clinical trial that cost millions, maybe a few
» » billion, have you ever heard of the word budget, have you ever heard of
» the
» » word resources?
» »
» » If you have heard of the word resource you would see what would be the
» » point in putting all your resource into a clinical trial that is not
» » needed, were when you do the trial you then run out of money for the
» » manufactoring machinary?
» Where did I say “FDA trial”? Where did I say it wasn’t approved? I said
» “double-blind study” to prove its EFFICACY for “this application”.
» Clearly, english isn’t your first language. Since that’s the case, why
» would you post a reply like that? Your english compression is poor, and
» you’re going to ask me questions like, “have you ever heard of the word
» resources”? Don’t be an ass.

you might want to check your post before bashing other guys

english compression?

» » »
» » » The only acceptable method for testing new protocols is a double
» blind
» » » study. Any data from anything less is suspect. If Acell thought
» this
» » » would work in this application, why aren’t they doing a real study?
» » »
» » » Rational posters have been asking this question from day one, and we
» » were
» » » called trolls. Now everyone is disappointed. Have any of you
» learned
» » your
» » » lesson from this? Highly unlikely.
» »
» » It is FDA approved application (not a drug that need four phases), that
» » has been approved for years with earlier versions; doesn’t need
» clinical
» » trials.
» »
» » But say it did need a clinical trial that cost millions, maybe a few
» » billion, have you ever heard of the word budget, have you ever heard of
» the
» » word resources?
» »
» » If you have heard of the word resource you would see what would be the
» » point in putting all your resource into a clinical trial that is not
» » needed, were when you do the trial you then run out of money for the
» » manufactoring machinary?
» Where did I say “FDA trial”? Where did I say it wasn’t approved? I said
» “double-blind study” to prove its EFFICACY for “this application”.
» Clearly, english isn’t your first language. Since that’s the case, why
» would you post a reply like that? Your english compression is poor, and
» you’re going to ask me questions like, “have you ever heard of the word
» resources”? Don’t be an ass.

Stop quibbling with people over semantics. It makes you look like a bitter, little, husk of balding flesh.

Now let’s examine what fred123 meant:

  1. Whether you call it testing, a double-blind study, or a full-fledge trial you can rest assured it will cost money. 02) Acell has the potential for exponential uses 03) Like all firms, Acell does not have exponential resources 04) What better way to validate a need for an internal study than by giving some product to someone in the hairloss business… someone with a unique understanding of hairloss protocols.

So there you have it, fred123’s comments were understandable… especially if you chose to give him a break rather throw a hissy fit over general linguistics.

[What comes next are materials data, not part of the article]
=====
Record 1
Calculated X-ray diffraction stick pattern of Pm2P4RuRh3 for CuKα, from a cell relaxed with PBE.

Cell and atoms:
a b c (Å): 4.1623 4.1623 9.5266
angles (deg): 90.00 90.00 90.00
Fractional positions:
1 Pm 0.0000 0.5000 0.2395
2 Pm 0.5000 0.0000 0.7605
3 P 0.0000 0.0000 0.0000
4 P 0.0000 0.5000 0.6332
5 P 0.5000 0.0000 0.3668
6 P 0.5000 0.5000 0.0000
7 Ru 0.0000 0.0000 0.5000
8 Rh 0.0000 0.5000 0.8860
9 Rh 0.5000 0.0000 0.1140
10 Rh 0.5000 0.5000 0.5000

Most intense lines, 2θ = 15–90°, by angle:
| 2θ/deg | I/Imax |
| --- | --- |
| 28.1 | 12 |
| 30.4 | 24 |
| 31.8 | 39 |
| 35.6 | 89 |
| 35.9 | 100 |
| 43.5 | 70 |
| 52.8 | 23 |
| 57.4 | 44 |
| 63.2 | 22 |
| 67.0 | 20 |
| 70.8 | 17 |
| 74.8 | 23 |



Record 2
Calculated X-ray diffraction stick pattern of Pm8P3RhSe4 for CuKα, from a cell relaxed with PBE.

Cell and atoms:
a b c (Å): 8.3948 8.3948 8.3948
angles (deg): 59.37 59.37 59.37
Fractional positions:
1 Pm 0.2438 0.2438 0.2438
2 Pm 0.2450 0.7430 0.7430
3 Pm 0.2570 0.2570 0.7550
4 Pm 0.2570 0.7550 0.2570
5 Pm 0.7430 0.2450 0.7430
6 Pm 0.7430 0.7430 0.2450
7 Pm 0.7550 0.2570 0.2570
8 Pm 0.7562 0.7562 0.7562
9 P 0.0000 0.0000 0.5000
10 P 0.0000 0.5000 0.0000
11 P 0.5000 0.0000 0.0000
12 Rh 0.5000 0.5000 0.5000
13 Se 0.0000 0.0000 0.0000
14 Se 0.0000 0.5000 0.5000
15 Se 0.5000 0.0000 0.5000
16 Se 0.5000 0.5000 0.0000

Most intense lines, 2θ = 15–90°, by angle:
| 2θ/deg | I/Imax |
| --- | --- |
| 25.9 | 7 |
| 26.2 | 21 |
| 30.3 | 100 |
| 43.1 | 36 |
| 43.5 | 37 |
| 51.3 | 7 |
| 53.9 | 19 |
| 62.9 | 12 |
| 71.1 | 15 |
| 71.7 | 16 |
| 79.6 | 12 |
| 79.9 | 6 |



Record 3
Calculated X-ray diffraction stick pattern of Pm3SiP2Rh9 for CuKα, from a cell relaxed with PBE.

Cell and atoms:
a b c (Å): 6.3465 6.3465 7.7772
angles (deg): 90.00 90.00 120.00
Fractional positions:
1 Pm 0.0000 0.0000 0.0000
2 Pm 0.3333 0.6667 0.6617
3 Pm 0.6667 0.3333 0.3383
4 Si 0.0000 0.0000 0.5000
5 P 0.3333 0.6667 0.1649
6 P 0.6667 0.3333 0.8351
7 Rh 0.0000 0.5000 0.0000
8 Rh 0.1665 0.3330 0.3267
9 Rh 0.1665 0.8335 0.3267
10 Rh 0.3330 0.1665 0.6733
11 Rh 0.5000 0.0000 0.0000
12 Rh 0.5000 0.5000 0.0000
13 Rh 0.6670 0.8335 0.3267
14 Rh 0.8335 0.1665 0.6733
15 Rh 0.8335 0.6670 0.6733

Most intense lines, 2θ = 15–90°, by angle:
| 2θ/deg | I/Imax |
| --- | --- |
| 28.1 | 7 |
| 34.6 | 100 |
| 40.2 | 64 |
| 49.8 | 3 |
| 58.1 | 42 |
| 65.8 | 1 |
| 69.5 | 38 |
| 73.0 | 14 |
| 80.0 | 2 |
| 86.8 | 7 |



Record 4
Calculated X-ray diffraction stick pattern of PmUP2Rh5 for CuKα, from a cell relaxed with PBE.

Cell and atoms:
a b c (Å): 4.0080 4.0080 10.7546
angles (deg): 90.00 90.00 90.00
Fractional positions:
1 Pm 0.0000 0.0000 0.0000
2 U 0.5000 0.5000 0.5000
3 P 0.5000 0.5000 0.2094
4 P 0.5000 0.5000 0.7906
5 Rh 0.0000 0.5000 0.3241
6 Rh 0.0000 0.5000 0.6759
7 Rh 0.5000 0.0000 0.3241
8 Rh 0.5000 0.0000 0.6759
9 Rh 0.5000 0.5000 0.0000

Most intense lines, 2θ = 15–90°, by angle:
| 2θ/deg | I/Imax |
| --- | --- |
| 22.2 | 23 |
| 23.7 | 39 |
| 24.8 | 23 |
| 33.5 | 25 |
=====

» Stop quibbling with people over semantics. It makes you look like a
» bitter, little, husk of balding flesh.
» Now let’s examine what fred123 meant:
» 01) Whether you call it testing, a double-blind study, or a full-fledge
» trial you can rest assured it will cost money. 02) Acell has the potential
» for exponential uses 03) Like all firms, Acell does not have exponential
» resources 04) What better way to validate a need for an internal study than
» by giving some product to someone in the hairloss business… someone with
» a unique understanding of hairloss protocols.
» So there you have it, fred123’s comments were understandable… especially
» if you chose to give him a break rather throw a hissy fit over general
» linguistics.

  1. Yeah, credibility costs money, but conducting a small study to test efficacy is different than funding a 10 year FDA trial. If the product had promise, securing funding for that relatively small amount of capital would be easy.

  2. Says who? Based on what proof? All we know is that it may or may not work on animals.

  3. Who said you need “exponential” resources? See point #1. By the by, words have meaning, and their meaning is important. Under no context did you employ the word “exponential” properly (you probably meant “unlimited” ). That’s why I “squabble” over semantics - so I don’t end up making malapropisms like the one you did.

  4. Gee, I don’t know…running a double-blind study with a proper sample size administered by people who don’t have a vested interest in the outcome?

  5. Another Friday night all by your lonesome, Revtard? I have a reason for being home on a Friday night (and a wife to keep me company) - what’s yours, my lonely little friend?

fckhrls, before you do a double blind study with a reasonable sample size you should try it first. you cant start with a double blind study. if you know something about science, then you know that you first must to develope a hypothesis and then you can test it. excactly that is doing dr. jones. he makes a test to see what happpens based on which you can create a hypotheses about acell and hairloss. like someone else said, there is just not the money to start with a double blind study and its even scientifical not the right way.

» 5) Another Friday night all by your lonesome, Revtard? I have a reason
» for being home on a Friday night (and a wife to keep me company) - what’s
» yours, my lonely little friend?


» » 5) Another Friday night all by your lonesome, Revtard? I have a reason
» » for being home on a Friday night (and a wife to keep me company) -
» what’s
» » yours, my lonely little friend?

Is that your wife though? :slight_smile:

» » » 5) Another Friday night all by your lonesome, Revtard? I have a
» reason
» » » for being home on a Friday night (and a wife to keep me company) -
» » what’s
» » » yours, my lonely little friend?
» Is that your wife though? :slight_smile:

Haha. She came with the photo in his wallet.

Face it, the guy can’t get the day right (Saturday/ not Friday), how many countries he’s travelled or whether he does or does not have a “full head of hair” (seriously). I wouldn’t be surprised if his “wife” was a figment of his imagination. Besides, no woman would keep his company… especially if she knew what he does on hairsite.